• Exercise:
Work out how many lines further below have the word "largest" in them; a number is enough.

• Source:
Record 1
Cs2CeSb2O6: theoretical X-ray powder pattern (copper Kα), based on a DFT-relaxed cell (PBE, Alexandria).
Intensities are scaled so that the largest is 100.

Structure:
```
data_Cs2CeSb2O6
_space_group_name_H-M_alt 'C 1 2/m 1'
_space_group_IT_number 12
_cell_length_a 10.986
_cell_length_b 6.340
_cell_length_c 8.049
_cell_angle_alpha 90.00
_cell_angle_beta 99.26
_cell_angle_gamma 90.00
loop_
_space_group_symop_operation_xyz
'x,y,z'
'-x,-y,-z'
'-x,y,-z'
'x,-y,z'
'x+1/2,y+1/2,z'
'-x+1/2,-y+1/2,-z'
'-x+1/2,y+1/2,-z'
'x+1/2,-y+1/2,z'
loop_
_atom_site_label
_atom_site_fract_x
_atom_site_fract_y
_atom_site_fract_z
Cs1 0.191 0.000 0.201
Ce1 0.000 0.500 0.000
Sb1 0.135 0.000 0.728
O1 0.069 0.237 0.845
O2 0.193 0.500 0.152
```

Peak list (12 most intense, 2θ from 15° to 90°, sorted by position)
hkl 0 0 2, d 3.972, 22.38 deg, rel. 37
hkl 2 0 -2, d 3.482, 25.58 deg, rel. 46
hkl 0 2 0, d 3.170, 28.15 deg, rel. 65
hkl 3 1 0, d 3.140, 28.43 deg, rel. 100
hkl 1 1 2, d 3.097, 28.82 deg, rel. 91
hkl 3 1 -1, d 3.071, 29.08 deg, rel. 52
hkl 2 2 -2, d 2.344, 38.40 deg, rel. 51
hkl 4 0 2, d 2.088, 43.33 deg, rel. 20
hkl 2 2 -3, d 1.985, 45.70 deg, rel. 27
hkl 3 3 0, d 1.824, 49.99 deg, rel. 21
hkl 1 3 2, d 1.816, 50.24 deg, rel. 20
hkl 0 4 0, d 1.584, 58.26 deg, rel. 32

=====

Record 2
V3Rh2Se8: theoretical X-ray powder pattern (copper Kα), based on a DFT-relaxed cell (PBE, Alexandria).
Intensities are scaled so that the largest is 100.

Structure:
```
data_V3Rh2Se8
_space_group_name_H-M_alt 'C 1 2/m 1'
_space_group_IT_number 12
_cell_length_a 11.905
_cell_length_b 7.234
_cell_length_c 6.140
_cell_angle_alpha 90.00
_cell_angle_beta 100.75
_cell_angle_gamma 90.00
loop_
_space_group_symop_operation_xyz
'x,y,z'
'-x,-y,-z'
'-x,y,-z'
'x,-y,z'
'x+1/2,y+1/2,z'
'-x+1/2,-y+1/2,-z'
'-x+1/2,y+1/2,-z'
'x+1/2,-y+1/2,z'
loop_
_atom_site_label
_atom_site_fract_x
_atom_site_fract_y
_atom_site_fract_z
V1 0.000 0.000 0.000
V2 0.000 0.280 0.500
Rh1 0.220 0.500 0.513
Se1 0.089 0.500 0.784
Se2 0.113 0.000 0.695
Se3 0.148 0.226 0.256
```

Peak list (12 most intense, 2θ from 15° to 90°, sorted by position)
hkl 4 0 -1, d 2.851, 31.38 deg, rel. 26
hkl 2 2 1, d 2.638, 33.99 deg, rel. 100
hkl 3 1 -2, d 2.476, 36.28 deg, rel. 17
hkl 4 0 -2, d 2.327, 38.69 deg, rel. 22
hkl 2 2 -2, d 2.268, 39.75 deg, rel. 8
hkl 5 1 -1, d 2.220, 40.64 deg, rel. 11
hkl 2 2 2, d 2.055, 44.06 deg, rel. 13
hkl 4 0 2, d 1.927, 47.15 deg, rel. 15
hkl 0 4 0, d 1.809, 50.46 deg, rel. 15
hkl 2 2 -3, d 1.764, 51.82 deg, rel. 21
hkl 6 2 -1, d 1.727, 53.03 deg, rel. 11
hkl 6 2 0, d 1.716, 53.39 deg, rel. 11

* * * * *

Diffraction record for Ca2Ta2FeO8. The PXRD pattern is computed, not measured: it uses a structure optimized by DFT (PBE+U) and Cu Kα (λ = 1.5418 Å).
Intensities are scaled so that the largest is 1000.

```
data_Ca2Ta2FeO8
_chemical_formula_sum 'Ca8 Ta8 Fe4 O32'
_cell_length_a 19.109
_cell_length_b 6.437
_cell_length_c 5.457
_cell_angle_alpha 90.00
_cell_angle_beta 92.45
_cell_angle_gamma 90.00
_symmetry_space_group_name_H-M 'C 1 2/c 1'
_symmetry_Int_Tables_number 15
_symmetry_space_group_name_Hall '-C 2yc'
loop_
_atom_site_label
_atom_site_type_symbol
_atom_site_fract_x
_atom_site_fract_y
_atom_site_fract_z
Ca1 Ca 0.209 0.172 0.244
Ta1 Ta 0.113 0.354 0.747
Fe1 Fe 0.000 0.142 0.250
O1 O 0.057 0.153 0.578
O2 O 0.072 0.379 0.077
O3 O 0.182 0.436 0.489
O4 O 0.185 0.156 0.839
```

The 10 most intense peaks (10° ≤ 2θ ≤ 90°), most intense first:
- (0 2 1), d = 2.770 Å, 32.32°, intensity 1000
- (5 1 -1), d = 2.860 Å, 31.28°, intensity 479
- (5 1 0), d = 3.284 Å, 27.15°, intensity 407
- (4 0 0), d = 4.773 Å, 18.59°, intensity 391
- (1 1 0), d = 6.099 Å, 14.52°, intensity 358
- (0 0 2), d = 2.726 Å, 32.85°, intensity 322
- (5 3 0), d = 1.870 Å, 48.68°, intensity 245
- (1 1 -1), d = 4.093 Å, 21.71°, intensity 240
- (4 2 1), d = 2.374 Å, 37.89°, intensity 237
- (3 1 0), d = 4.525 Å, 19.62°, intensity 233

• Written answer:
3